What is needed: repeat everything further below word for word.
-- begin --
Entry 1:
Computed, not measured: a relaxed structure of Na3HfZnP3O12 at the PBE level of DFT.

Values from the calculation:
DFT total energy ... -6.926 eV/atom
Size of the total moment ... 0.0 Bohr magnetons per cell
Energy relative to the elements ... -2.798 eV per atom

Cell: 15.6547 9.0569 8.9143 Å, 90.00 124.81 90.00°
With the nearest neighbours (Å) after each atom.
Fractional coordinates of all 80 atoms:
1 O 0.6477 0.1540 0.4123  1 P 1.52
2 O 0.3510 0.1419 0.0874  1 P 1.58
3 O 0.5682 0.5391 0.9367  1 P 1.53
4 O 0.8471 0.5748 0.7560  1 P 1.59
5 O 0.3471 0.9252 0.2560  1 P 1.59
6 O 0.0757 0.8461 0.7469  1 P 1.54
7 O 0.5757 0.6539 0.2469  1 P 1.54
8 O 0.5424 0.1664 0.0685  1 P 1.58
9 O 0.1477 0.3460 0.9123  1 P 1.52
10 O 0.7565 0.3430 0.7495  1 P 1.53
11 O 0.8471 0.4252 0.2560  1 P 1.59
12 O 0.2565 0.8430 0.7495  1 P 1.53
13 O 0.0682 0.0391 0.9367  1 P 1.53
14 O 0.7565 0.6570 0.2495  1 P 1.53
15 O 0.2372 0.6841 0.2519  1 P 1.58
16 O 0.9425 0.0583 0.5932  1 P 1.57
17 O 0.8510 0.6419 0.0874  1 P 1.58
18 O 0.9178 0.1477 0.2533  1 P 1.57
19 O 0.7372 0.8159 0.7519  1 P 1.58
20 O 0.9425 0.9417 0.0932  1 P 1.57
21 O 0.1477 0.6540 0.4123  1 P 1.52
22 O 0.3471 0.0748 0.7560  1 P 1.59
23 O 0.4425 0.5583 0.5932  1 P 1.57
24 O 0.5757 0.3461 0.7469  1 P 1.54
25 O 0.2565 0.1570 0.2495  1 P 1.53
26 O 0.7372 0.1841 0.2519  1 P 1.58
27 O 0.0682 0.9609 0.4367  1 P 1.53
28 O 0.6525 0.9380 0.2397  1 P 1.53
29 O 0.1525 0.5620 0.7397  1 P 1.53
30 O 0.9535 0.6514 0.4344  1 P 1.53
31 O 0.4535 0.8486 0.9344  1 P 1.53
32 O 0.4178 0.3523 0.7533  1 P 1.57
33 O 0.6477 0.8460 0.9123  1 P 1.52
34 O 0.8510 0.3581 0.5874  1 P 1.58
35 O 0.6525 0.0620 0.7397  1 P 1.53
36 O 0.4178 0.6477 0.2533  1 P 1.57
37 O 0.1525 0.4380 0.2397  1 P 1.53
38 O 0.3510 0.8581 0.5874  1 P 1.58
39 O 0.0757 0.1539 0.2469  1 P 1.54
40 O 0.5682 0.4609 0.4367  1 P 1.53
41 O 0.4425 0.4417 0.0932  1 P 1.57
42 O 0.9535 0.3486 0.9344  1 P 1.53
43 O 0.9178 0.8523 0.7533  1 P 1.57
44 O 0.0424 0.3336 0.5685  1 P 1.58
45 O 0.4535 0.1514 0.4344  1 P 1.53
46 O 0.2372 0.3159 0.7519  1 P 1.58
47 O 0.0424 0.6664 0.0685  1 P 1.58
48 O 0.5424 0.8336 0.5685  1 P 1.58
49 P 0.1456 0.6060 0.2468  4 O 1.52-1.58
50 P 0.6456 0.8940 0.7468  4 O 1.52-1.58
51 P 0.0024 0.0496 0.2603  4 O 1.53-1.57
52 P 0.5024 0.4504 0.7603  4 O 1.53-1.57
53 P 0.6456 0.1060 0.2468  4 O 1.52-1.58
54 P 0.8520 0.6003 0.2609  4 O 1.53-1.59
55 P 0.1456 0.3940 0.7468  4 O 1.52-1.58
56 P 0.3520 0.8997 0.7609  4 O 1.53-1.59
57 P 0.5024 0.5496 0.2603  4 O 1.53-1.57
58 P 0.3520 0.1003 0.2609  4 O 1.53-1.59
59 P 0.0024 0.9504 0.7603  4 O 1.53-1.57
60 P 0.8520 0.3997 0.7609  4 O 1.53-1.59
61 Zn 0.0978 0.2495 0.0487  5 O 1.98-2.21
62 Zn 0.0978 0.7505 0.5487  5 O 1.98-2.21
63 Zn 0.5978 0.7495 0.0487  5 O 1.98-2.21
64 Zn 0.5978 0.2505 0.5487  5 O 1.98-2.21
65 Na 0.0032 0.6095 0.7458  6 O 2.41-2.63
66 Na 0.5032 0.1095 0.7458  6 O 2.41-2.63
67 Na 0.5032 0.8905 0.2458  6 O 2.41-2.63
68 Na 0.7492 0.7740 0.4783  5 O 2.31-2.58
69 Na 0.2492 0.2740 0.4783  5 O 2.31-2.58
70 Na 0.7492 0.2260 0.9783  5 O 2.31-2.58
71 Na 0.6836 0.5581 0.7889  4 O 2.38-2.57
72 Na 0.0032 0.3905 0.2458  6 O 2.41-2.63
73 Na 0.1836 0.9419 0.2889  4 O 2.38-2.57
74 Na 0.2492 0.7260 0.9783  5 O 2.31-2.58
75 Na 0.6836 0.4419 0.2889  4 O 2.38-2.57
76 Na 0.1836 0.0581 0.7889  4 O 2.38-2.57
77 Hf 0.8944 0.2425 0.4406  6 O 2.01-2.15
78 Hf 0.3944 0.2575 0.9406  6 O 2.01-2.15
79 Hf 0.3944 0.7425 0.4406  6 O 2.01-2.15
80 Hf 0.8944 0.7575 0.9406  6 O 2.01-2.15

***

Entry 2:
Computed, not measured: a relaxed structure of LiCuF4 at the PBE level of DFT.

Values from the calculation:
DFT total energy ... -4.137 eV/atom
Size of the total moment ... 0.0 Bohr magnetons per cell
Energy relative to the elements ... -2.167 eV per atom

Cell: 6.1296 6.1296 6.1296 Å, 129.45 129.45 74.28°
With the nearest neighbours (Å) after each atom.
Fractional coordinates of all 12 atoms:
1 Li 0.2500 0.2500 0.0000  8 F 2.27
2 Li 0.7500 0.7500 0.0000  8 F 2.27
3 Cu 0.0000 0.5000 0.5000  4 F 1.80
-- stop --
Entry 1:
Computed, not measured: a relaxed structure of Na3HfZnP3O12 at the PBE level of DFT.

Values from the calculation:
DFT total energy ... -6.926 eV/atom
Size of the total moment ... 0.0 Bohr magnetons per cell
Energy relative to the elements ... -2.798 eV per atom

Cell: 15.6547 9.0569 8.9143 Å, 90.00 124.81 90.00°
With the nearest neighbours (Å) after each atom.
Fractional coordinates of all 80 atoms:
1 O 0.6477 0.1540 0.4123  1 P 1.52
2 O 0.3510 0.1419 0.0874  1 P 1.58
3 O 0.5682 0.5391 0.9367  1 P 1.53
4 O 0.8471 0.5748 0.7560  1 P 1.59
5 O 0.3471 0.9252 0.2560  1 P 1.59
6 O 0.0757 0.8461 0.7469  1 P 1.54
7 O 0.5757 0.6539 0.2469  1 P 1.54
8 O 0.5424 0.1664 0.0685  1 P 1.58
9 O 0.1477 0.3460 0.9123  1 P 1.52
10 O 0.7565 0.3430 0.7495  1 P 1.53
11 O 0.8471 0.4252 0.2560  1 P 1.59
12 O 0.2565 0.8430 0.7495  1 P 1.53
13 O 0.0682 0.0391 0.9367  1 P 1.53
14 O 0.7565 0.6570 0.2495  1 P 1.53
15 O 0.2372 0.6841 0.2519  1 P 1.58
16 O 0.9425 0.0583 0.5932  1 P 1.57
17 O 0.8510 0.6419 0.0874  1 P 1.58
18 O 0.9178 0.1477 0.2533  1 P 1.57
19 O 0.7372 0.8159 0.7519  1 P 1.58
20 O 0.9425 0.9417 0.0932  1 P 1.57
21 O 0.1477 0.6540 0.4123  1 P 1.52
22 O 0.3471 0.0748 0.7560  1 P 1.59
23 O 0.4425 0.5583 0.5932  1 P 1.57
24 O 0.5757 0.3461 0.7469  1 P 1.54
25 O 0.2565 0.1570 0.2495  1 P 1.53
26 O 0.7372 0.1841 0.2519  1 P 1.58
27 O 0.0682 0.9609 0.4367  1 P 1.53
28 O 0.6525 0.9380 0.2397  1 P 1.53
29 O 0.1525 0.5620 0.7397  1 P 1.53
30 O 0.9535 0.6514 0.4344  1 P 1.53
31 O 0.4535 0.8486 0.9344  1 P 1.53
32 O 0.4178 0.3523 0.7533  1 P 1.57
33 O 0.6477 0.8460 0.9123  1 P 1.52
34 O 0.8510 0.3581 0.5874  1 P 1.58
35 O 0.6525 0.0620 0.7397  1 P 1.53
36 O 0.4178 0.6477 0.2533  1 P 1.57
37 O 0.1525 0.4380 0.2397  1 P 1.53
38 O 0.3510 0.8581 0.5874  1 P 1.58
39 O 0.0757 0.1539 0.2469  1 P 1.54
40 O 0.5682 0.4609 0.4367  1 P 1.53
41 O 0.4425 0.4417 0.0932  1 P 1.57
42 O 0.9535 0.3486 0.9344  1 P 1.53
43 O 0.9178 0.8523 0.7533  1 P 1.57
44 O 0.0424 0.3336 0.5685  1 P 1.58
45 O 0.4535 0.1514 0.4344  1 P 1.53
46 O 0.2372 0.3159 0.7519  1 P 1.58
47 O 0.0424 0.6664 0.0685  1 P 1.58
48 O 0.5424 0.8336 0.5685  1 P 1.58
49 P 0.1456 0.6060 0.2468  4 O 1.52-1.58
50 P 0.6456 0.8940 0.7468  4 O 1.52-1.58
51 P 0.0024 0.0496 0.2603  4 O 1.53-1.57
52 P 0.5024 0.4504 0.7603  4 O 1.53-1.57
53 P 0.6456 0.1060 0.2468  4 O 1.52-1.58
54 P 0.8520 0.6003 0.2609  4 O 1.53-1.59
55 P 0.1456 0.3940 0.7468  4 O 1.52-1.58
56 P 0.3520 0.8997 0.7609  4 O 1.53-1.59
57 P 0.5024 0.5496 0.2603  4 O 1.53-1.57
58 P 0.3520 0.1003 0.2609  4 O 1.53-1.59
59 P 0.0024 0.9504 0.7603  4 O 1.53-1.57
60 P 0.8520 0.3997 0.7609  4 O 1.53-1.59
61 Zn 0.0978 0.2495 0.0487  5 O 1.98-2.21
62 Zn 0.0978 0.7505 0.5487  5 O 1.98-2.21
63 Zn 0.5978 0.7495 0.0487  5 O 1.98-2.21
64 Zn 0.5978 0.2505 0.5487  5 O 1.98-2.21
65 Na 0.0032 0.6095 0.7458  6 O 2.41-2.63
66 Na 0.5032 0.1095 0.7458  6 O 2.41-2.63
67 Na 0.5032 0.8905 0.2458  6 O 2.41-2.63
68 Na 0.7492 0.7740 0.4783  5 O 2.31-2.58
69 Na 0.2492 0.2740 0.4783  5 O 2.31-2.58
70 Na 0.7492 0.2260 0.9783  5 O 2.31-2.58
71 Na 0.6836 0.5581 0.7889  4 O 2.38-2.57
72 Na 0.0032 0.3905 0.2458  6 O 2.41-2.63
73 Na 0.1836 0.9419 0.2889  4 O 2.38-2.57
74 Na 0.2492 0.7260 0.9783  5 O 2.31-2.58
75 Na 0.6836 0.4419 0.2889  4 O 2.38-2.57
76 Na 0.1836 0.0581 0.7889  4 O 2.38-2.57
77 Hf 0.8944 0.2425 0.4406  6 O 2.01-2.15
78 Hf 0.3944 0.2575 0.9406  6 O 2.01-2.15
79 Hf 0.3944 0.7425 0.4406  6 O 2.01-2.15
80 Hf 0.8944 0.7575 0.9406  6 O 2.01-2.15

***

Entry 2:
Computed, not measured: a relaxed structure of LiCuF4 at the PBE level of DFT.

Values from the calculation:
DFT total energy ... -4.137 eV/atom
Size of the total moment ... 0.0 Bohr magnetons per cell
Energy relative to the elements ... -2.167 eV per atom

Cell: 6.1296 6.1296 6.1296 Å, 129.45 129.45 74.28°
With the nearest neighbours (Å) after each atom.
Fractional coordinates of all 12 atoms:
1 Li 0.2500 0.2500 0.0000  8 F 2.27
2 Li 0.7500 0.7500 0.0000  8 F 2.27
3 Cu 0.0000 0.5000 0.5000  4 F 1.80